Duplicate only the last part of the data further below, starting with the line that has "Cu: 0.2500".

- - -
Record 1
## La3Pm4NdSe8 (PBE)

Data for La3Pm4NdSe8 after structural relaxation.

Geometry as POSCAR:
```
La3Pm4NdSe8
1.0
4.247 2.452 6.927
-4.247 2.452 6.927
0.000 -4.904 6.927
La Pm Nd Se
3 4 1 8
direct
0.000 0.500 0.500 La
0.500 0.000 0.500 La
0.500 0.500 0.000 La
0.000 0.000 0.500 Pm
0.000 0.500 0.000 Pm
0.500 0.000 0.000 Pm
0.500 0.500 0.500 Pm
0.000 0.000 0.000 Nd
0.246 0.749 0.749 Se
0.247 0.247 0.247 Se
0.251 0.251 0.754 Se
0.251 0.754 0.251 Se
0.749 0.246 0.749 Se
0.749 0.749 0.246 Se
0.753 0.753 0.753 Se
0.754 0.251 0.251 Se
```

Properties
Symmetry: R-3m (166)
Calculated total energy in eV/atom: -6.049



Record 2
## La3PmNd4Se8 (PBE)

Data for La3PmNd4Se8 after structural relaxation.

Geometry as POSCAR:
```
La3PmNd4Se8
1.0
4.263 2.461 6.942
-4.263 2.461 6.942
0.000 -4.922 6.942
La Pm Nd Se
3 1 4 8
direct
0.000 0.500 0.500 La
0.500 0.000 0.500 La
0.500 0.500 0.000 La
0.000 0.000 0.000 Pm
0.000 0.000 0.500 Nd
0.000 0.500 0.000 Nd
0.500 0.000 0.000 Nd
0.500 0.500 0.500 Nd
0.246 0.751 0.751 Se
0.248 0.248 0.248 Se
0.249 0.249 0.754 Se
0.249 0.754 0.249 Se
0.751 0.246 0.751 Se
0.751 0.751 0.246 Se
0.752 0.752 0.752 Se
0.754 0.249 0.249 Se
```

Properties
Symmetry: R-3m (166)
Calculated total energy in eV/atom: -6.053

----------

[1]
# MnTlCu2

A PBEsol-optimized structure of MnTlCu2 (meta-GGA SCAN, the Alexandria database).

Unit cell a=4.3569 b=4.3569 c=4.3569 alpha=60.00 beta=60.00 gamma=60.00
With the nearest neighbours (Å) after each atom.
Fractional coordinates of all 4 atoms:
Mn: 0.0000 0.0000 0.0000  8 Cu 2.67
Cu: 0.2500 0.2500 0.2500  4 Tl 2.67, 4 Mn 2.67
Cu: 0.7500 0.7500 0.7500  4 Mn 2.67, 4 Tl 2.67
Tl: 0.5000 0.5000 0.5000  8 Cu 2.67

Computed properties:
- Raw total energy: -30.132 eV per atom
- DFT formation energy: 2.796 kcal/mol of atoms


[2]
# MnTl2Cu

A PBEsol-optimized structure of MnTl2Cu (meta-GGA SCAN, the Alexandria database).

Unit cell a=3.4610 b=4.2794 c=5.3440 alpha=90.00 beta=105.44 gamma=90.00
With the nearest neighbours (Å) after each atom.
Fractional coordinates of all 4 atoms:
Mn: 0.4348 0.5000 0.7701  2 Cu 2.61, 7 Tl 2.85-2.89
Cu: 0.3107 0.0000 0.4808  2 Mn 2.61, 7 Tl 2.86-2.91
Tl: 0.7495 0.5000 0.3204  3 Mn 2.85-2.89, 4 Cu 2.86-2.88
Tl: 0.0050 0.0000 0.9287  3 Cu 2.86-2.91, 4 Mn 2.86-2.88

Computed properties:
- Excess energy over the best structure of this formula in the dataset: 0 meV per atom
- Raw total energy: -44.294 eV per atom
- DFT formation energy: 5.743 kcal/mol of atoms


[3]
# MnTl2Cu

A PBEsol-optimized structure of MnTl2Cu (meta-GGA SCAN, the Alexandria database).

Unit cell a=4.7306 b=4.7306 c=4.7306 alpha=60.00 beta=60.00 gamma=60.00
With the nearest neighbours (Å) after each atom.
Fractional coordinates of all 4 atoms:
Mn: 0.5000 0.5000 0.5000  8 Tl 2.90
Tl: 0.7500 0.7500 0.7500  4 Cu 2.90, 4 Mn 2.90
Tl: 0.2500 0.2500 0.2500  4 Mn 2.90, 4 Cu 2.90
Cu: 0.0000 0.0000 0.0000  8 Tl 2.90

Computed properties:
- Excess energy over the best structure of this formula in the dataset: 47 meV per atom
- Raw total energy: -44.247 eV per atom
- DFT formation energy: 6.823 kcal/mol of atoms


[4]
# Mn2CuW

A PBEsol-optimized structure of Mn2CuW (meta-GGA SCAN, the Alexandria database).

Unit cell a=2.6148 b=2.6148 c=7.5142 alpha=90.00 beta=90.00 gamma=90.00
With the nearest neighbours (Å) after each atom.
Fractional coordinates of all 4 atoms:
W: 0.5000 0.5000 0.0000  4 W 2.61, 8 Mn 2.73
Mn: 0.0000 0.0000 0.2668  4 Cu 2.55, 4 Mn 2.61, 4 W 2.73
Mn: 0.0000 0.0000 0.7332  4 Cu 2.55, 4 Mn 2.61, 4 W 2.73
Cu: 0.5000 0.5000 0.5000  8 Mn 2.55, 4 Cu 2.61

Computed properties:
- Excess energy over the best structure of this formula in the dataset: 0 meV per atom
- Raw total energy: -30.254 eV per atom
- DFT formation energy: 2.211 kcal/mol of atoms


[5]
# MnCuW

A PBEsol-optimized structure of MnCuW (meta-GGA SCAN, the Alexandria database).

Unit cell a=2.6407 b=2.6407 c=6.5131 alpha=90.00 beta=90.00 gamma=120.00
With the nearest neighbours (Å) after each atom.
- - -

Cu: 0.2500 0.2500 0.2500  4 Tl 2.67, 4 Mn 2.67
Cu: 0.7500 0.7500 0.7500  4 Mn 2.67, 4 Tl 2.67
Tl: 0.5000 0.5000 0.5000  8 Cu 2.67

Computed properties:
- Raw total energy: -30.132 eV per atom
- DFT formation energy: 2.796 kcal/mol of atoms


[2]
# MnTl2Cu

A PBEsol-optimized structure of MnTl2Cu (meta-GGA SCAN, the Alexandria database).

Unit cell a=3.4610 b=4.2794 c=5.3440 alpha=90.00 beta=105.44 gamma=90.00
With the nearest neighbours (Å) after each atom.
Fractional coordinates of all 4 atoms:
Mn: 0.4348 0.5000 0.7701  2 Cu 2.61, 7 Tl 2.85-2.89
Cu: 0.3107 0.0000 0.4808  2 Mn 2.61, 7 Tl 2.86-2.91
Tl: 0.7495 0.5000 0.3204  3 Mn 2.85-2.89, 4 Cu 2.86-2.88
Tl: 0.0050 0.0000 0.9287  3 Cu 2.86-2.91, 4 Mn 2.86-2.88

Computed properties:
- Excess energy over the best structure of this formula in the dataset: 0 meV per atom
- Raw total energy: -44.294 eV per atom
- DFT formation energy: 5.743 kcal/mol of atoms


[3]
# MnTl2Cu

A PBEsol-optimized structure of MnTl2Cu (meta-GGA SCAN, the Alexandria database).

Unit cell a=4.7306 b=4.7306 c=4.7306 alpha=60.00 beta=60.00 gamma=60.00
With the nearest neighbours (Å) after each atom.
Fractional coordinates of all 4 atoms:
Mn: 0.5000 0.5000 0.5000  8 Tl 2.90
Tl: 0.7500 0.7500 0.7500  4 Cu 2.90, 4 Mn 2.90
Tl: 0.2500 0.2500 0.2500  4 Mn 2.90, 4 Cu 2.90
Cu: 0.0000 0.0000 0.0000  8 Tl 2.90

Computed properties:
- Excess energy over the best structure of this formula in the dataset: 47 meV per atom
- Raw total energy: -44.247 eV per atom
- DFT formation energy: 6.823 kcal/mol of atoms


[4]
# Mn2CuW

A PBEsol-optimized structure of Mn2CuW (meta-GGA SCAN, the Alexandria database).

Unit cell a=2.6148 b=2.6148 c=7.5142 alpha=90.00 beta=90.00 gamma=90.00
With the nearest neighbours (Å) after each atom.
Fractional coordinates of all 4 atoms:
W: 0.5000 0.5000 0.0000  4 W 2.61, 8 Mn 2.73
Mn: 0.0000 0.0000 0.2668  4 Cu 2.55, 4 Mn 2.61, 4 W 2.73
Mn: 0.0000 0.0000 0.7332  4 Cu 2.55, 4 Mn 2.61, 4 W 2.73
Cu: 0.5000 0.5000 0.5000  8 Mn 2.55, 4 Cu 2.61

Computed properties:
- Excess energy over the best structure of this formula in the dataset: 0 meV per atom
- Raw total energy: -30.254 eV per atom
- DFT formation energy: 2.211 kcal/mol of atoms


[5]
# MnCuW

A PBEsol-optimized structure of MnCuW (meta-GGA SCAN, the Alexandria database).

Unit cell a=2.6407 b=2.6407 c=6.5131 alpha=90.00 beta=90.00 gamma=120.00
With the nearest neighbours (Å) after each atom.